[Request]
Next, find the line further down that holds "(0.9901, 0.5932,", then give back that line and all lines after it there.
[Input]
-- begin --
1.
Diffraction record for Li4CoO3F. The powder X-ray diffraction pattern is computed, not measured: it uses a structure optimized by DFT (GGA+U) and Cu Kα (λ = 1.5418 Å).

Crystal structure
a b c (Å): 5.2250 5.3471 7.7588
angles (deg): 70.02 82.91 66.35
Sites, in units of the cell vectors:
Li (0.0000, 0.0000, 0.0000)
Li (0.0023, 0.2270, 0.5732)
Li (0.0040, 0.8419, 0.4169)
Li (0.4767, 0.6555, 0.5786)
Li (0.4930, 0.2319, 0.4423)
Li (0.5073, 0.4996, 0.0065)
Li (0.5208, 0.1472, 0.7860)
Li (0.9634, 0.3431, 0.2196)
Co (0.5064, 0.9495, 0.2062)
Co (0.9422, 0.5922, 0.7578)
O (0.2356, 0.4464, 0.6021)
O (0.2633, 0.0429, 0.3933)
O (0.4127, 0.8943, 0.0148)
O (0.7456, 0.1312, 0.1992)
O (0.7461, 0.3660, 0.8074)
O (0.7871, 0.9616, 0.6247)
F (0.1013, 0.5659, 0.9977)
F (0.7406, 0.5513, 0.3790)

The 10 most intense peaks (2θ from 15° to 90°), by angle:
| 2θ/deg | Rel. int. |
| --- | --- |
| 19.10 | 100.0 |
| 20.92 | 87.2 |
| 22.06 | 79.9 |
| 22.38 | 70.0 |
| 25.86 | 90.7 |
| 27.42 | 65.2 |
| 31.61 | 36.5 |
| 40.80 | 34.4 |
| 43.83 | 38.7 |
| 44.37 | 36.7 |


2.
Diffraction record for LiCo6O2F10. The powder X-ray diffraction pattern is computed, not measured: it uses a structure optimized by DFT (GGA+U) and Cu Kα (λ = 1.5418 Å).

Crystal structure
a b c (Å): 4.8360 4.8360 9.6738
angles (deg): 91.51 91.51 90.34
Sites, in units of the cell vectors:
Li (0.0000, 0.0000, 0.0000)
Co (0.2633, 0.2633, 0.3056)
Co (0.2731, 0.2731, 0.6446)
Co (0.3406, 0.3406, 0.9489)
Co (0.7155, 0.7155, 0.1569)
Co (0.7680, 0.7680, 0.4735)
Co (0.8205, 0.8205, 0.7905)
O (0.1203, 0.1203, 0.8270)
O (0.4329, 0.4329, 0.1258)
F (0.0177, 0.0177, 0.1790)
F (0.0717, 0.0717, 0.4782)
F (0.4619, 0.4619, 0.4739)
F (0.5136, 0.5136, 0.7920)
F (0.5379, 0.9366, 0.3134)
F (0.5932, 0.9901, 0.6363)
F (0.6123, 0.9834, 0.9702)
F (0.9366, 0.5379, 0.3134)
F (0.9834, 0.6123, 0.9702)
F (0.9901, 0.5932, 0.6363)

The 10 most intense peaks (2θ from 15° to 90°), by angle:
| 2θ/deg | Rel. int. |
| --- | --- |
| 25.98 | 100.0 |
| 26.16 | 75.7 |
| 33.00 | 51.9 |
| 33.84 | 45.8 |
| 50.45 | 36.0 |
| 51.06 | 30.4 |
| 51.85 | 22.7 |
| 53.43 | 19.0 |
| 63.87 | 18.1 |
| 65.44 | 17.6 |


3.
Diffraction record for Li4Co3OF8. The powder X-ray diffraction pattern is computed, not measured: it uses a structure optimized by DFT (GGA+U) and Cu Kα (λ = 1.5418 Å).

Crystal structure
a b c (Å): 5.0964 5.0964 11.5181
angles (deg): 101.39 101.39 32.66
Sites, in units of the cell vectors:
Li (0.0000, 0.0000, 0.0000)
Li (0.0958, 0.0958, 0.3153)
Li (0.2228, 0.2228, 0.8795)
Li (0.3774, 0.3774, 0.4285)
Co (0.4689, 0.4689, 0.7506)
Co (0.6533, 0.6533, 0.6031)
Co (0.7993, 0.7993, 0.1717)
O (0.0943, 0.0943, 0.7085)
F (0.0401, 0.0401, 0.4727)
F (0.1433, 0.1433, 0.1479)
F (0.3126, 0.3126, 0.5866)
F (0.3581, 0.3581, 0.0425)
F (0.4394, 0.4394, 0.2666)
F (0.5974, 0.5974, 0.9252)
F (0.7431, 0.7431, 0.3502)
F (0.8539, 0.8539, 0.8256)

The 10 most intense peaks (2θ from 15° to 90°), by angle:
| 2θ/deg | Rel. int. |
| --- | --- |
| 15.72 | 100.0 |
| 21.61 | 76.4 |
| 21.75 | 50.0 |
| 33.18 | 42.9 |
| 33.42 | 25.1 |
| 40.33 | 40.7 |
| 41.88 | 24.7 |
| 43.26 | 51.9 |
| 44.31 | 26.7 |
| 45.96 | 41.8 |


4.
Diffraction record for LiCo2OF5. The powder X-ray diffraction pattern is computed, not measured: it uses a structure optimized by DFT (GGA+U) and Cu Kα (λ = 1.5418 Å).

Crystal structure
a b c (Å): 4.5787 4.5787 18.3682
angles (deg): 90.76 90.76 89.95
Sites, in units of the cell vectors:
Li (0.0041, 0.9959, 0.5000)
Li (0.5058, 0.5234, 0.7498)
Li (0.5234, 0.5058, 0.2498)
Li (0.9959, 0.0041, 0.0000)
Co (0.0175, 0.0195, 0.8355)
Co (0.0195, 0.0175, 0.3355)
Co (0.0389, 0.9868, 0.1671)
Co (0.4834, 0.4876, 0.9172)
Co (0.4876, 0.4834, 0.4172)
Co (0.5006, 0.5172, 0.0858)
Co (0.5172, 0.5006, 0.5858)
Co (0.9868, 0.0389, 0.6671)
O (0.2132, 0.2160, 0.9088)
O (0.2160, 0.2132, 0.4088)
O (0.3093, 0.7158, 0.1585)
O (0.7158, 0.3093, 0.6585)
F (0.2079, 0.2108, 0.7508)
F (0.2094, 0.2193, 0.0839)
F (0.2108, 0.2079, 0.2508)
F (0.2193, 0.2094, 0.5839)
-- stop --
[Outcome]
F (0.9901, 0.5932, 0.6363)

The 10 most intense peaks (2θ from 15° to 90°), by angle:
| 2θ/deg | Rel. int. |
| --- | --- |
| 25.98 | 100.0 |
| 26.16 | 75.7 |
| 33.00 | 51.9 |
| 33.84 | 45.8 |
| 50.45 | 36.0 |
| 51.06 | 30.4 |
| 51.85 | 22.7 |
| 53.43 | 19.0 |
| 63.87 | 18.1 |
| 65.44 | 17.6 |


3.
Diffraction record for Li4Co3OF8. The powder X-ray diffraction pattern is computed, not measured: it uses a structure optimized by DFT (GGA+U) and Cu Kα (λ = 1.5418 Å).

Crystal structure
a b c (Å): 5.0964 5.0964 11.5181
angles (deg): 101.39 101.39 32.66
Sites, in units of the cell vectors:
Li (0.0000, 0.0000, 0.0000)
Li (0.0958, 0.0958, 0.3153)
Li (0.2228, 0.2228, 0.8795)
Li (0.3774, 0.3774, 0.4285)
Co (0.4689, 0.4689, 0.7506)
Co (0.6533, 0.6533, 0.6031)
Co (0.7993, 0.7993, 0.1717)
O (0.0943, 0.0943, 0.7085)
F (0.0401, 0.0401, 0.4727)
F (0.1433, 0.1433, 0.1479)
F (0.3126, 0.3126, 0.5866)
F (0.3581, 0.3581, 0.0425)
F (0.4394, 0.4394, 0.2666)
F (0.5974, 0.5974, 0.9252)
F (0.7431, 0.7431, 0.3502)
F (0.8539, 0.8539, 0.8256)

The 10 most intense peaks (2θ from 15° to 90°), by angle:
| 2θ/deg | Rel. int. |
| --- | --- |
| 15.72 | 100.0 |
| 21.61 | 76.4 |
| 21.75 | 50.0 |
| 33.18 | 42.9 |
| 33.42 | 25.1 |
| 40.33 | 40.7 |
| 41.88 | 24.7 |
| 43.26 | 51.9 |
| 44.31 | 26.7 |
| 45.96 | 41.8 |


4.
Diffraction record for LiCo2OF5. The powder X-ray diffraction pattern is computed, not measured: it uses a structure optimized by DFT (GGA+U) and Cu Kα (λ = 1.5418 Å).

Crystal structure
a b c (Å): 4.5787 4.5787 18.3682
angles (deg): 90.76 90.76 89.95
Sites, in units of the cell vectors:
Li (0.0041, 0.9959, 0.5000)
Li (0.5058, 0.5234, 0.7498)
Li (0.5234, 0.5058, 0.2498)
Li (0.9959, 0.0041, 0.0000)
Co (0.0175, 0.0195, 0.8355)
Co (0.0195, 0.0175, 0.3355)
Co (0.0389, 0.9868, 0.1671)
Co (0.4834, 0.4876, 0.9172)
Co (0.4876, 0.4834, 0.4172)
Co (0.5006, 0.5172, 0.0858)
Co (0.5172, 0.5006, 0.5858)
Co (0.9868, 0.0389, 0.6671)
O (0.2132, 0.2160, 0.9088)
O (0.2160, 0.2132, 0.4088)
O (0.3093, 0.7158, 0.1585)
O (0.7158, 0.3093, 0.6585)
F (0.2079, 0.2108, 0.7508)
F (0.2094, 0.2193, 0.0839)
F (0.2108, 0.2079, 0.2508)
F (0.2193, 0.2094, 0.5839)